Your job: say how many lines of the entries further down hold the word "degrees", as a bare number.

=====
VASP calculation (PBE-GGA) on a relaxed structure of Re2Te.

Cell lengths 6.1183, 6.1183, 6.9510 Å; angles 62.53, 62.53, 28.74 degrees
Last column: nearest neighbours and their distance in Å.
Fractional positions:
Te 0.6667 0.6667 0.3866  6 Re 2.75-3.03, 2 Te 3.04
Re 0.3588 0.3588 0.9862  6 Re 2.65-2.92, 1 Te 2.75
Re 0.0696 0.0696 0.7782  5 Re 2.65-2.72, 3 Te 2.77-2.84
Re 0.9304 0.9304 0.2218  5 Re 2.65-2.72, 3 Te 2.77-2.84
Re 0.6412 0.6412 0.0138  6 Re 2.65-2.92, 1 Te 2.75
Te 0.3333 0.3333 0.6134  6 Re 2.75-3.03, 2 Te 3.04

Calculated values
M_tot   0.00 μB per cell
Formation energy from raw total energies   1.20 eV per formula unit
VASP energy   -26.834 eV per formula unit

---

VASP calculation (PBE-GGA) on a relaxed structure of Re2Te3.

Cell lengths 6.6937, 6.8166, 7.0975 Å; angles 61.30, 77.57, 63.36 degrees
Last column: nearest neighbours and their distance in Å.
Fractional positions:
Re 0.0450 0.2913 0.6933  2 Re 2.53, 3 Te 2.65-2.72
Te 0.8573 0.1950 0.4738  3 Re 2.65-2.80
Re 0.5450 0.9847 0.3067  2 Re 2.53, 3 Te 2.65-2.72
Te 0.8895 0.5450 0.9227  2 Re 2.66
Te 0.3895 0.4678 0.0773  2 Re 2.66
Re 0.9170 0.7499 0.4970  2 Re 2.53, 4 Te 2.66-2.80
Te 0.9218 0.9375 0.0629  3 Re 2.71-2.86
Re 0.4170 0.2469 0.5030  2 Re 2.53, 4 Te 2.66-2.80
Te 0.4218 0.0004 0.9371  3 Re 2.71-2.86
Te 0.3573 0.6688 0.5262  3 Re 2.65-2.80

Calculated values
M_tot   0.00 μB per cell
Formation energy from raw total energies   2.05 eV per formula unit
VASP energy   -32.274 eV per formula unit

---

VASP calculation (PBE-GGA) on a relaxed structure of Re2Te.

Cell lengths 3.0240, 3.0240, 6.5830 Å; angles 90.00, 90.00, 120.00 degrees
Last column: nearest neighbours and their distance in Å.
Fractional positions:
Re 0.6667 0.3333 0.6522  3 Re 2.66, 3 Te 2.88
Te 0.0000 0.0000 0.0000  6 Re 2.88, 6 Te 3.02
Re 0.3333 0.6667 0.3478  3 Re 2.66, 3 Te 2.88

Calculated values
M_tot   0.00 μB per cell
Formation energy from raw total energies   1.90 eV per formula unit
VASP energy   -26.137 eV per formula unit

---

VASP calculation (PBE-GGA) on a relaxed structure of ReTe.

Cell lengths 11.0987, 11.0987, 3.8803 Å; angles 90.00, 90.00, 90.00 degrees
Last column: nearest neighbours and their distance in Å.
Fractional positions:
Te 0.4497 0.7878 0.0000  4 Re 2.65-2.79
Re 0.8118 0.7184 0.5000  2 Re 2.48, 3 Te 2.65-2.70
Re 0.2816 0.8118 0.5000  2 Re 2.48, 3 Te 2.65-2.70
Re 0.2184 0.6882 0.0000  2 Re 2.48, 3 Te 2.65-2.70
Te 0.0503 0.7122 0.5000  4 Re 2.65-2.79
Re 0.1882 0.2816 0.5000  2 Re 2.48, 3 Te 2.65-2.70
Te 0.2878 0.0503 0.5000  4 Re 2.65-2.79
Re 0.6882 0.7816 0.0000  2 Re 2.48, 3 Te 2.65-2.70
Re 0.7816 0.3118 0.0000  2 Re 2.48, 3 Te 2.65-2.70
Te 0.9497 0.2878 0.5000  4 Re 2.65-2.79
Te 0.7878 0.5503 0.0000  4 Re 2.65-2.79
Te 0.7122 0.9497 0.5000  4 Re 2.65-2.79
Te 0.2122 0.4497 0.0000  4 Re 2.65-2.79
Re 0.3118 0.2184 0.0000  2 Re 2.48, 3 Te 2.65-2.70
Te 0.5503 0.2122 0.0000  4 Re 2.65-2.79
Re 0.7184 0.1882 0.5000  2 Re 2.48, 3 Te 2.65-2.70

Calculated values
M_tot   0.00 μB per cell
Formation energy from raw total energies   1.32 eV per formula unit
VASP energy   -14.272 eV per formula unit

~~~~~

# 1
PBE KCrBi2Pb, optimized geometry; N(E_F) = 1.37 states/eV per atom; magnetization = 0.188 Bohr magnetons per cell; mass density = 6.3 Mg/m³; final energy = -17.29 eV per cell; space-group type = No. 123
1.0
-0.0318 4.8312 3.6848
2.7930 -2.6151 3.4528
5.1064 2.0182 -2.6020
Bi Pb K Cr
2 1 1 1
Direct
0.0000 0.0000 0.5000 Bi
0.5000 0.0000 0.0000 Bi
0.0000 0.0000 0.0000 Pb
0.5000 0.5000 0.5000 K
0.0000 0.5000 0.0000 Cr

***

# 2
PBE K2CrBiPd, optimized geometry; N(E_F) = 1.26 states/eV per atom; magnetization = 0.550 Bohr magnetons per cell; mass density = 4.1 Mg/m³; final energy = -16.30 eV per cell; space-group type = No. 123
1.0
6.1004 0.0000 0.0000
0.0000 4.9089 0.0000
0.0000 0.0000 6.1004
Cr K Pd Bi
1 2 1 1
Direct
0.0000 0.5000 0.0000 Cr
0.5000 0.0000 0.0000 K
0.0000 0.0000 0.5000 K
0.0000 0.0000 0.0000 Pd
0.5000 0.5000 0.5000 Bi

***

# 3
=====

4